**To do**
Now transcribe the listing further down with every line break kept.

**File**
~~~
Entry 1:
# CePm3Ir2
Calculated powder XRD pattern, Cu Kα, 1.54184 Å. Input: a GGA-PBE-relaxed structure.

Principal peaks in the range 10 to 90 degrees two-theta, low angle first:
2θ 16.6, I 417
2θ 24.0, I 180
2θ 24.4, I 448
2θ 26.2, I 153
2θ 32.3, I 569
2θ 32.9, I 1000
2θ 41.4, I 704
2θ 41.9, I 328
2θ 51.7, I 179
2θ 53.9, I 295

```
CePm3Ir2
1.0
8.3348 -2.1541 0.0000
8.3348 2.1541 0.0000
-5.0017 0.0000 9.7126
Ce Pm Ir
2 6 4
direct
0.0586 0.0586 0.1598
0.9414 0.9414 0.8402
0.1725 0.1725 0.5345
0.2984 0.2984 0.9131
0.4433 0.4433 0.3002
0.5567 0.5567 0.6998
0.7016 0.7016 0.0869
0.8275 0.8275 0.4655
0.1201 0.1201 0.8953
0.3706 0.3706 0.6623
0.6294 0.6294 0.3377
0.8799 0.8799 0.1047
```

Entry 2:
# LaLuRh
Calculated powder XRD pattern, Cu Kα, 1.54184 Å. Input: a GGA-PBE-relaxed structure.

Principal peaks in the range 10 to 90 degrees two-theta, low angle first:
2θ 14.3, I 210
2θ 29.1, I 1000
2θ 38.6, I 397
2θ 44.4, I 338
2θ 51.1, I 231
2θ 53.9, I 178
2θ 60.2, I 107
2θ 72.3, I 148
2θ 77.2, I 118
2θ 86.7, I 104

```
LaLuRh
1.0
4.0847 0.0000 0.0000
-2.0423 3.5374 0.0000
0.0000 0.0000 6.2079
La Lu Rh
1 1 1
direct
0.0000 0.0000 0.0000
0.6667 0.3333 0.4780
0.3333 0.6667 0.2585
```

Entry 3:
# Tb2Y6Sc3
Calculated powder XRD pattern, Cu Kα, 1.54184 Å. Input: a GGA-PBE-relaxed structure.

Principal peaks in the range 10 to 90 degrees two-theta, low angle first:
2θ 30.5, I 470
2θ 32.0, I 570
2θ 32.2, I 1000
2θ 32.5, I 690
2θ 33.2, I 530
2θ 33.5, I 710
2θ 33.8, I 218
2θ 46.7, I 197
2θ 58.9, I 223
2θ 65.8, I 199

```
Tb2Y6Sc3
1.0
5.8793 0.0000 0.0000
-2.6208 7.8448 0.0000
-2.6114 -3.2813 7.2192
Tb Y Sc
2 6 3
direct
0.0360 0.3159 0.3603
0.9640 0.6841 0.6397
0.0860 0.1434 0.7107
0.3400 0.9473 0.1167
0.4955 0.5982 0.8293
0.5045 0.4018 0.1707
0.6600 0.0527 0.8833
0.9140 0.8566 0.2893
0.0000 0.5000 0.0000
0.4361 0.7694 0.4435
0.5639 0.2306 0.5565
```

Entry 4:
# PmDyMgZn
Calculated powder XRD pattern, Cu Kα, 1.54184 Å. Input: a GGA-PBE-relaxed structure.

Principal peaks in the range 10 to 90 degrees two-theta, low angle first:
2θ 11.4, I 197
2θ 22.8, I 169
2θ 24.5, I 330
2θ 33.7, I 1000
2θ 34.9, I 497
2θ 42.1, I 139
2θ 42.8, I 124
2θ 50.1, I 177
2θ 59.5, I 146
2θ 61.8, I 343

```
PmDyMgZn
1.0
3.6407 0.0000 0.0000
0.0000 3.6407 0.0000
0.0000 0.0000 7.7921
Pm Dy Mg Zn
1 1 1 1
direct
0.0000 0.0000 0.0000
0.0000 0.0000 0.4487
0.5000 0.5000 0.7164
0.5000 0.5000 0.2384
```

Entry 5:
# K3TeO6
Calculated powder XRD pattern, Cu Kα, 1.54184 Å. Input: a GGA-PBE-relaxed structure.

Principal peaks in the range 10 to 90 degrees two-theta, low angle first:
2θ 15.8, I 402
2θ 17.9, I 1000
2θ 23.1, I 421
2θ 27.5, I 841
2θ 29.8, I 769
2θ 41.0, I 439
2θ 44.1, I 204
2θ 48.6, I 237
2θ 50.1, I 448
2θ 65.4, I 159

```
K3TeO6
1.0
6.4904 0.0000 0.0000
-3.2452 5.6208 0.0000
0.0000 0.0000 10.6092
K Te O
6 2 12
direct
0.0000 0.0000 0.0000
0.0000 0.0000 0.5000
0.3333 0.6667 0.0853
0.3333 0.6667 0.4147
0.6667 0.3333 0.5853
0.6667 0.3333 0.9147
0.3333 0.6667 0.7500
0.6667 0.3333 0.2500
0.1060 0.4124 0.6440
0.1060 0.6935 0.8560
0.3065 0.4124 0.8560
0.3065 0.8940 0.6440
0.4124 0.1060 0.3560
0.4124 0.3065 0.1440
0.5876 0.6935 0.6440
0.5876 0.8940 0.8560
0.6935 0.1060 0.1440
0.6935 0.5876 0.3560
0.8940 0.3065 0.3560
0.8940 0.5876 0.1440
```

Entry 6:
# Ho2TmPaN4
Calculated powder XRD pattern, Cu Kα, 1.54184 Å. Input: a GGA-PBE-relaxed structure.

Principal peaks in the range 10 to 90 degrees two-theta, low angle first:
2θ 31.8, I 1000
2θ 36.7, I 461
2θ 37.0, I 226
2θ 53.1, I 238
2θ 53.2, I 158
2θ 63.0, I 151
2θ 63.1, I 150
2θ 63.4, I 148
2θ 87.1, I 98
2θ 89.8, I 112

```
Ho2TmPaN4
1.0
5.9550 0.0000 0.0000
0.0000 3.4649 0.0000
-1.9573 0.0000 5.6326
Ho Tm Pa N
2 1 1 4
direct
0.0000 0.0000 0.0000
0.5000 0.5000 0.0000
0.0000 0.5000 0.5000
0.5000 0.0000 0.5000
0.2542 0.5000 0.2574
0.2550 0.0000 0.7395
0.7450 0.0000 0.2605
0.7458 0.5000 0.7426
```

Entry 7:
# Rb3Cu2Br2Cl4
Calculated powder XRD pattern, Cu Kα, 1.54184 Å. Input: a GGA-PBE-relaxed structure.
~~~

**Outcome**
Entry 1:
# CePm3Ir2
Calculated powder XRD pattern, Cu Kα, 1.54184 Å. Input: a GGA-PBE-relaxed structure.

Principal peaks in the range 10 to 90 degrees two-theta, low angle first:
2θ 16.6, I 417
2θ 24.0, I 180
2θ 24.4, I 448
2θ 26.2, I 153
2θ 32.3, I 569
2θ 32.9, I 1000
2θ 41.4, I 704
2θ 41.9, I 328
2θ 51.7, I 179
2θ 53.9, I 295

```
CePm3Ir2
1.0
8.3348 -2.1541 0.0000
8.3348 2.1541 0.0000
-5.0017 0.0000 9.7126
Ce Pm Ir
2 6 4
direct
0.0586 0.0586 0.1598
0.9414 0.9414 0.8402
0.1725 0.1725 0.5345
0.2984 0.2984 0.9131
0.4433 0.4433 0.3002
0.5567 0.5567 0.6998
0.7016 0.7016 0.0869
0.8275 0.8275 0.4655
0.1201 0.1201 0.8953
0.3706 0.3706 0.6623
0.6294 0.6294 0.3377
0.8799 0.8799 0.1047
```

Entry 2:
# LaLuRh
Calculated powder XRD pattern, Cu Kα, 1.54184 Å. Input: a GGA-PBE-relaxed structure.

Principal peaks in the range 10 to 90 degrees two-theta, low angle first:
2θ 14.3, I 210
2θ 29.1, I 1000
2θ 38.6, I 397
2θ 44.4, I 338
2θ 51.1, I 231
2θ 53.9, I 178
2θ 60.2, I 107
2θ 72.3, I 148
2θ 77.2, I 118
2θ 86.7, I 104

```
LaLuRh
1.0
4.0847 0.0000 0.0000
-2.0423 3.5374 0.0000
0.0000 0.0000 6.2079
La Lu Rh
1 1 1
direct
0.0000 0.0000 0.0000
0.6667 0.3333 0.4780
0.3333 0.6667 0.2585
```

Entry 3:
# Tb2Y6Sc3
Calculated powder XRD pattern, Cu Kα, 1.54184 Å. Input: a GGA-PBE-relaxed structure.

Principal peaks in the range 10 to 90 degrees two-theta, low angle first:
2θ 30.5, I 470
2θ 32.0, I 570
2θ 32.2, I 1000
2θ 32.5, I 690
2θ 33.2, I 530
2θ 33.5, I 710
2θ 33.8, I 218
2θ 46.7, I 197
2θ 58.9, I 223
2θ 65.8, I 199

```
Tb2Y6Sc3
1.0
5.8793 0.0000 0.0000
-2.6208 7.8448 0.0000
-2.6114 -3.2813 7.2192
Tb Y Sc
2 6 3
direct
0.0360 0.3159 0.3603
0.9640 0.6841 0.6397
0.0860 0.1434 0.7107
0.3400 0.9473 0.1167
0.4955 0.5982 0.8293
0.5045 0.4018 0.1707
0.6600 0.0527 0.8833
0.9140 0.8566 0.2893
0.0000 0.5000 0.0000
0.4361 0.7694 0.4435
0.5639 0.2306 0.5565
```

Entry 4:
# PmDyMgZn
Calculated powder XRD pattern, Cu Kα, 1.54184 Å. Input: a GGA-PBE-relaxed structure.

Principal peaks in the range 10 to 90 degrees two-theta, low angle first:
2θ 11.4, I 197
2θ 22.8, I 169
2θ 24.5, I 330
2θ 33.7, I 1000
2θ 34.9, I 497
2θ 42.1, I 139
2θ 42.8, I 124
2θ 50.1, I 177
2θ 59.5, I 146
2θ 61.8, I 343

```
PmDyMgZn
1.0
3.6407 0.0000 0.0000
0.0000 3.6407 0.0000
0.0000 0.0000 7.7921
Pm Dy Mg Zn
1 1 1 1
direct
0.0000 0.0000 0.0000
0.0000 0.0000 0.4487
0.5000 0.5000 0.7164
0.5000 0.5000 0.2384
```

Entry 5:
# K3TeO6
Calculated powder XRD pattern, Cu Kα, 1.54184 Å. Input: a GGA-PBE-relaxed structure.

Principal peaks in the range 10 to 90 degrees two-theta, low angle first:
2θ 15.8, I 402
2θ 17.9, I 1000
2θ 23.1, I 421
2θ 27.5, I 841
2θ 29.8, I 769
2θ 41.0, I 439
2θ 44.1, I 204
2θ 48.6, I 237
2θ 50.1, I 448
2θ 65.4, I 159

```
K3TeO6
1.0
6.4904 0.0000 0.0000
-3.2452 5.6208 0.0000
0.0000 0.0000 10.6092
K Te O
6 2 12
direct
0.0000 0.0000 0.0000
0.0000 0.0000 0.5000
0.3333 0.6667 0.0853
0.3333 0.6667 0.4147
0.6667 0.3333 0.5853
0.6667 0.3333 0.9147
0.3333 0.6667 0.7500
0.6667 0.3333 0.2500
0.1060 0.4124 0.6440
0.1060 0.6935 0.8560
0.3065 0.4124 0.8560
0.3065 0.8940 0.6440
0.4124 0.1060 0.3560
0.4124 0.3065 0.1440
0.5876 0.6935 0.6440
0.5876 0.8940 0.8560
0.6935 0.1060 0.1440
0.6935 0.5876 0.3560
0.8940 0.3065 0.3560
0.8940 0.5876 0.1440
```

Entry 6:
# Ho2TmPaN4
Calculated powder XRD pattern, Cu Kα, 1.54184 Å. Input: a GGA-PBE-relaxed structure.

Principal peaks in the range 10 to 90 degrees two-theta, low angle first:
2θ 31.8, I 1000
2θ 36.7, I 461
2θ 37.0, I 226
2θ 53.1, I 238
2θ 53.2, I 158
2θ 63.0, I 151
2θ 63.1, I 150
2θ 63.4, I 148
2θ 87.1, I 98
2θ 89.8, I 112

```
Ho2TmPaN4
1.0
5.9550 0.0000 0.0000
0.0000 3.4649 0.0000
-1.9573 0.0000 5.6326
Ho Tm Pa N
2 1 1 4
direct
0.0000 0.0000 0.0000
0.5000 0.5000 0.0000
0.0000 0.5000 0.5000
0.5000 0.0000 0.5000
0.2542 0.5000 0.2574
0.2550 0.0000 0.7395
0.7450 0.0000 0.2605
0.7458 0.5000 0.7426
```

Entry 7:
# Rb3Cu2Br2Cl4
Calculated powder XRD pattern, Cu Kα, 1.54184 Å. Input: a GGA-PBE-relaxed structure.